Me: I own nothing but my OC, Victor.

The loonatics were enjoying some down time when suddenly alarms went off and Zadavia appeared on their TV screen.

" Loonatics, it seems that the Sagittarius stomper has escaped prison and is recking havoc in the city. Make sure he's stopped and put back in prison. "Said Zadavia

"Sure thing, we'll have him back in his cozy jail cell faster than Rev can run." Replied Ace.

"Good luck, Zadavia out." The TV off by itself.

"You heard her, gang. Let's jet." Said Ace, the team made their way over to the elevator.

-Red triangle-

The loonatic ship landed, most of the people had already fled the area. The hero's got out of the ship and found the Sagittarius stomper ripping open an armored bank truck.

"Well, somebody seems hungry for the green stuff." Said Duck. Everyone got into position.

"Alright, listen up, here's the plan. Slam you-"Suddenly a white wolf in a black hoodie and faded grey jeans ran past them.

"Hey, stomper, didn't anyone ever tell you that too much of something is bad for you? " The wolf said with a smirk.

"Eh? "Stomper turned around with a grin. "Well, lookie here, the puppy dog wanted to play." He started throwing his fists toward the wolf, which in turn dodged each time.

"Hold still, already!" the stomper said with frustration. The wolf gave a small laugh as he dodge another fist.

"Aw, somebody's abit hot tempered. How's about a cool ya down, pal? "Suddenly the wolf's eyes and hands glowed a soft blue; he pointed his hand at the Sagittarius stomper.

"Eh?" suddenly the Sagittarius Stomper was being covered in ice; soon his entire body up to his neck was frozen. Moments later, the police arrived and took him away and the wolf was swarmed with news reporters.

"Say, , what's your name? Are you apart of the loonatics? Are you their new member? "The wolf's ears tilted slightly at the on slaught of questions. He gave a nervous grin.

"Uh, well, no. I'm not a part of the loonatics but I'd like to be, I think it'd be awesome to work with a team instead of just by myself like I normally do and my name's Victor. "Soon, the news reporters and the news vans left, leaving Victor alone, unaware of the loonatics. He shrugged and pulled up his hood then started to walk home.

"Let's give the new guy a ride home, gang. "They nodded to Ace's remark and ran after Victor.

"Hey, Victor, wait up!" Ace called out, Victor turned around.

"Hm? Oh, hey, what's up? It's not every day I meet famous people. "He replied with a small smirk.

"Well, we just wanted to say it was awesome how you handled the Sagittarius stomper like that." Lexi said, with a small blush.

"No big deal seemed kinda fun since things have been so quite lately. "

"So, how's about you join our team? We could use a cool and collected guy like you." Said Ace, the others nodded.

"I think it's a great idea" agreed lexi

........
1.
Theoretical powder XRD pattern
Compound: La2Mg12Hg7
Radiation: λ = 1.5418 Å (Cu Kα)
Structure: a crystal structure in Alexandria, relaxed with PBE
No peak broadening, texture or thermal motion is included.

Crystal structure
Cell lengths 11.5425, 11.5425, 4.3732 Å; angles 90.00, 90.00, 120.00 degrees
Space group P-3 (No. 147)
Inequivalent atoms, fractional coordinates:
La: 0.3333 0.6667 0.2505 x2
Mg: 0.0460 0.4313 0.7497 x6
Mg: 0.1106 0.2649 0.2468 x6
Hg: 0.0000 0.0000 0.5000 x1
Hg: 0.1329 0.7110 0.7505 x6

Top 10 peaks for 15° ≤ 2θ ≤ 90°, most intense first:
- d = 3.778 Å, I = 100.0
- d = 2.859 Å, I = 66.7
- d = 2.181 Å, I = 56.5
- d = 3.291 Å, I = 55.2
- d = 3.486 Å, I = 37.5
- d = 1.891 Å, I = 36.5
- d = 2.342 Å, I = 35.6
- d = 2.031 Å, I = 27.1
- d = 1.544 Å, I = 23.1
- d = 1.428 Å, I = 22.5


2.
Theoretical powder XRD pattern
Compound: Tl3Hg4Sb
Radiation: λ = 1.5418 Å (Cu Kα)
Structure: a crystal structure in Alexandria, relaxed with PBE
No peak broadening, texture or thermal motion is included.

Crystal structure
Cell lengths 11.4541, 6.6306, 6.3060 Å; angles 90.00, 98.84, 90.00 degrees
Space group C2 (No. 5)
Inequivalent atoms, fractional coordinates:
Tl: 0.0000 0.0000 0.0000 x2
Tl: 0.1709 0.7877 0.6192 x4
Hg: 0.0794 0.5219 0.2093 x4
Hg: 0.2204 0.3340 0.8554 x4
Sb: 0.0000 0.1993 0.5000 x2

Top 10 peaks for 15° ≤ 2θ ≤ 90°, most intense first:
- d = 2.754 Å, I = 100.0
- d = 2.830 Å, I = 87.7
- d = 2.861 Å, I = 79.4
- d = 2.680 Å, I = 79.4
- d = 2.651 Å, I = 65.9
- d = 2.740 Å, I = 60.0
- d = 2.926 Å, I = 49.3
- d = 1.756 Å, I = 28.2
- d = 1.414 Å, I = 26.6
- d = 1.495 Å, I = 22.7


3.
Theoretical powder XRD pattern
Compound: AcTb4Dy
Radiation: λ = 1.5418 Å (Cu Kα)
Structure: a crystal structure in Alexandria, relaxed with PBE
No peak broadening, texture or thermal motion is included.

Crystal structure
Cell lengths 10.7440, 13.4113, 6.7107 Å; angles 90.00, 122.55, 90.00 degrees
Space group C2/c (No. 15)
Inequivalent atoms, fractional coordinates:
Ac: 0.0000 0.0738 0.2500 x4
Tb: 0.1604 0.4221 0.7467 x8
Tb: 0.1656 0.3156 0.2467 x8
Dy: 0.0000 0.1918 0.7500 x4

Top 10 peaks for 15° ≤ 2θ ≤ 90°, most intense first:
- d = 2.884 Å, I = 100.0
- d = 2.828 Å, I = 50.8
- d = 2.958 Å, I = 48.9
- d = 2.795 Å, I = 47.9
- d = 2.945 Å, I = 47.8
- d = 1.643 Å, I = 19.2
- d = 1.992 Å, I = 18.3
- d = 1.984 Å, I = 18.0
- d = 1.523 Å, I = 14.7
- d = 1.519 Å, I = 14.6


4.
Theoretical powder XRD pattern
Compound: Tl3BiPb4
Radiation: λ = 1.5418 Å (Cu Kα)
Structure: a crystal structure in Alexandria, relaxed with PBE
No peak broadening, texture or thermal motion is included.

Crystal structure
Cell lengths 7.0519, 7.1846, 9.9485 Å; angles 90.00, 90.00, 90.00 degrees
Space group Pmna (No. 53)
Inequivalent atoms, fractional coordinates:
Tl: 0.0000 0.0000 0.0000 x2
Tl: 0.2500 0.2452 0.2500 x4
Bi: 0.0000 0.5000 0.0000 x2
Pb: 0.0000 0.0000 0.5000 x2
Pb: 0.0000 0.5000 0.5000 x2
Pb: 0.2500 0.2608 0.7500 x4

Top 10 peaks for 15° ≤ 2θ ≤ 90°, most intense first:
........

"sounds-like-it'd-be-fun" chimed in Rev

"I'm with Rev" replied Tech

" weidwiorrwq" ( welcome to the team ) Slam added.

" I guess you'd be helpful to the team but don't get the idea that you'll be better than me" Duck said while crossing his arms, who got elbowed by Lexi. Victor chuckled.

"Thanks guys but don't I need to take like a test or something to prove that I should be on the team?" Victor asked

" I considered what today was as the test. But is there anything else you can do? "The leader of the loonatics asked

"Well, I'm smarter than a super computer; I have the power over ice and I can create a sonic wave by howling which I call the sonic howl, I know not a very creative name but it's all I could think of. I don't really use it much because it drains my energy; it's more of an emergency power. " The loonatics nodded.

"So you need a lift? " Tech asked, pointed his thumb at the ship.

"If you don't mind."

"Not at all, let's go. " Ace replied and they all got into the ship.

-Green triangle-

"So, not to sound pushy but what are your parents like? "Asked Lexi on the way to Victor's house.

"Oh, they're great. They like the idea that I'm helping out the city with my powers. They're professors at Acme Institute. "

"Really? I've never seen any wolves while I was a student there. "Tech replied.

"Oh, that's because they aren't wolves. " Said Victor, leaving the others with ideas on what to his parents actually might be.

Me: please review!